December 2018 | Volume XXXVI. Issue 6 »
“Non-Traditional” Library Services: Expanding the Library’s Offerings While Increasing Community Engagement
November 29, 2018
Eric A. Edwards, State Library of Illinois
What do notarization, passports, and credit unions have in common? What about stamps, voter registration, and fishing and hunting licenses? They are all services that libraries offer. As surprising as this may sound to people who still view libraries as repositories of books and journals—and, starting more recently, as community spaces where groups can meet and patrons can explore new technologies—offering “non-traditional” services is a growing trend among libraries of all types, including in Illinois. Whether filling a gap in services that other community organizations normally provide, increasing the library’s visibility in the community and drawing people who might not otherwise use its services, or simply making the library a more “fun” place to visit, offering non-traditional services is the latest way in which many libraries are adapting to the demands of twenty-first-century librarianship.

Why would libraries consider offering these services in the first place, however? Filling a gap in services that other community organizations provide is one reason. Since libraries are open beyond traditional business hours (especially in the evenings and on the weekends), they can provide government services, such as passport issuing, that are normally only available during the regular workday. Having services available locally is especially convenient for people in smaller communities who cannot easily travel to access a service elsewhere. In other instances, the library is stepping in to fill a need that other institutions used to fill, but no longer do. One example is notarization, as some banks and currency exchanges no longer provide the service.
Certain government services can also be a source of revenue. This is one reason the Helen Plum Library decided to offer passport services. Other services, such as selling stamps (which the Indian Prairie Public Library provides), are closer to breakeven, but they still have value because the services are highly popular with patrons. More important, if the library is the only location in the community that offers a service, this makes the library “unique” in people’s minds. The Gail Borden Public Library District was the first public library anywhere (to the best of anyone’s knowledge) to house a branch of a credit union, through KCT Credit Union.
For some services, in-house organizing and planning are sufficient. For others, however, bringing in outside assistance is necessary. The Loyola University Chicago Libraries, for instance, partnered with the League of Women Voters to undertake voter-registration efforts during this year’s primaries, and the Libraries are working with the University’s Office of Civic Engagement as part of a campus-wide drive for the general election. In the case of the University of Illinois at Urbana-Champaign, the library is working with the Champaign County Clerk’s Office to promote voter registration. Similarly, the Fountaindale Public Library District has partnered with the Will County Clerk’s Office to offer early-voting services. Another example of a library that has worked with outside groups to offer a service is the Niles-Maine District Library, which has collaborated with organizations such as CJE SeniorLife Resource Counseling and SCORE Chicago, a nonprofit that offers free or low-cost business education workshops, to offer senior resource counseling and small business services, respectively.
In offering a government service, in particular, additional outside training might prove necessary. For example, to provide hunting and fishing licenses, staff at the Coal City Public Library District and the Six Mile Regional Library District received training from the Illinois Department of Natural Resources. The US Department of State provides training for passport issuing. For many public libraries that are part of municipal government, contacts in other city departments can help. Even if a service initially has just internal training, it might prove beneficial to include outside experts for a refresher course, or to train additional staff. Similarly, a library can seek training and advice from a professional regional or statewide organization; this is what a staff member at the Marseilles Public Library did for notarization, taking a class offered through the Reaching Across Illinois Library System.
A library has determined what “non-traditional” services it wants to offer and how to deliver them, but what about promoting the services? Word-of-mouth can prove effective, particularly in a small community. Posting flyers around the library and community, and signs within the building, is another “low-tech” approach. For academic libraries in particular, social media (Facebook, Instagram, Snapchat, etc.) can be the best way to reach people, particularly students. If a service is especially relevant to a certain group, it might work best to advertise the service in a class. For instance, the Berwyn Public Library advertises its voter-registration services to a citizenship class.
If the library has a website that it updates regularly, putting information about the service in a noticeable place (such as near the top of the homepage) can ensure that as many people as possible are aware of that service. Including an article or announcement in a library or community newsletter, or the local newspaper, can be another option, especially for alerting the broader community. If a library offers a government service, such as passports, a government website may list the library as a Passport Acceptance Facility. In the case of a unique service, such as a credit union, national publications advertise the partnership.
In promoting “non-traditional” services, libraries should clearly convey how offering the service meets the needs of the community and fits the mission of the library. Having services such as voter registration or passport issuing, for instance, promotes the goal of encouraging civic engagement. A credit union improves financial literacy, which can be part of a library’s overall mission of promoting literacy in general. If the library is part of a larger organization, connecting the services to the educational mission of a college or university, such as promoting literacy or lifelong learning, can be particularly effective. Or, if a library requires a more generic approach, simply emphasizing that adding the services is part of the library’s ongoing efforts to improve the user experience will work.
-- Next to the entry, the page also holds records of molecules --
+++
No. 1
Below is a molecular structure, C29H19Br4N3O4Ti, with properties calculated with ωB97M-V/def2-TZVPD.

Last column: Löwdin spin population.
Atoms and positions in Å:
Ti1 0.158 0.098 0.163  0.3353
C1 -2.882 3.116 0.212  0.0024
O1 -3.113 2.251 -0.901  0.0736
C2 -2.118 1.336 -0.904  0.2032
N1 -1.261 1.429 0.101  0.0506
C3 -1.696 2.494 0.992  0.0008
C4 -2.083 1.890 2.323  -0.0002
C5 -3.128 0.971 2.382  0.0004
C6 -3.459 0.371 3.584  -0.0002
C7 -2.749 0.681 4.733  0.0010
C8 -1.720 1.606 4.682  0.0000
C9 -1.383 2.207 3.480  0.0012
C10 -1.859 0.335 -1.876  0.1327
C11 -2.467 0.100 -3.119  0.1784
C12 -1.896 -0.839 -3.974  0.1066
C13 -0.719 -1.492 -3.628  0.1739
C14 -0.143 -1.225 -2.377  0.1396
N2 -0.761 -0.388 -1.478  0.1744
C15 1.117 -1.598 -1.856  0.2070
N3 1.497 -1.014 -0.726  0.0639
C16 2.769 -1.580 -0.318  0.0021
C17 3.098 -2.561 -1.481  0.0022
O2 1.992 -2.485 -2.377  0.0745
C18 2.590 -2.251 1.023  0.0010
C19 1.465 -3.046 1.232  0.0016
C20 1.264 -3.654 2.458  0.0003
C21 2.179 -3.478 3.483  0.0015
C22 3.295 -2.684 3.281  0.0005
C23 3.500 -2.071 2.055  0.0017
H1 -3.792 3.167 0.815  0.0007
H2 -2.639 4.113 -0.168  0.0014
H3 -0.881 3.219 1.134  0.0001
H4 -3.680 0.721 1.485  0.0002
H5 -4.260 -0.354 3.628  0.0000
H6 -2.993 0.188 5.664  0.0000
H7 -1.167 1.853 5.577  0.0000
H8 -0.574 2.926 3.443  0.0001
H9 -3.341 0.663 -3.404  0.0092
H10 -2.339 -1.009 -4.944  0.0017
H11 -0.221 -2.156 -4.314  0.0088
H12 3.537 -0.795 -0.246  0.0005
H13 3.202 -3.596 -1.139  0.0009
H14 4.004 -2.271 -2.019  0.0012
H15 0.752 -3.199 0.425  0.0004
H16 0.383 -4.256 2.620  0.0000
H17 2.012 -3.953 4.439  0.0001
H18 4.015 -2.546 4.074  0.0000
H19 4.369 -1.445 1.903  0.0001
Br1 1.522 -0.782 6.612  0.0004
C24 1.446 -0.134 4.851  0.0016
C25 2.345 0.840 4.437  0.0021
Br2 3.644 1.528 5.615  0.0005
C26 2.295 1.301 3.126  0.0004
Br3 3.441 2.661 2.510  -0.0001
C27 1.400 0.777 2.202  0.0052
O3 1.365 1.203 0.952  0.0047
C28 0.488 -0.236 2.622  0.0053
O4 -0.346 -0.730 1.717  0.0234
C29 0.513 -0.645 3.951  0.0008
Br4 -0.747 -1.923 4.508  0.0004

The HOMO energy (alpha / beta) comes out at -0.21390 / -0.29666 hartree. As for the spin multiplicity: 3. The value obtained for the frontier orbital gap (alpha / beta) is 0.2118 / 0.2661 hartree. The calculation puts the LUMO energy (alpha / beta) at -0.00213 / -0.03060 Eh. For the energy relative to the best compared isomer or geometry (same formula, charge and spin), the calculation gives 0.0 kJ/mol. The expectation value of S² is 2.020.


No. 2
Below is a molecular structure, C19H12N4O4Tc, with properties calculated with ωB97M-V/def2-TZVPD.

Last column: Löwdin spin population.
Atoms and positions in Å:
Tc1 -0.861 -0.861 0.178  0.9341
O1 2.591 4.670 1.776  0.0005
C1 3.181 3.584 1.918  0.0002
O2 4.311 3.266 2.332  0.0004
C2 2.280 2.348 1.591  0.0034
C3 2.643 1.072 2.023  -0.0013
C4 1.842 -0.005 1.727  0.0025
N1 0.727 0.161 0.998  -0.0026
C5 0.364 1.396 0.607  0.0068
C6 1.098 2.514 0.872  0.0002
C7 -2.143 1.324 0.796  0.0080
+++
The most obvious benefit to offering “non-traditional” services, beyond improving the patron experience, can be increased foot traffic. For those users who are new to the library or may have visited in the past but are not familiar with some of the library’s services, drawing them via the “non-traditional” services can lead to increased use in more “traditional” services, such as signing up for library cards. Similarly, people who may have viewed the library as primarily a place to check out books and study now understand that it offers additional services. Some libraries have learned that offering the services can draw “hard-to-reach” populations, including recent immigrants; this is what the Ela Area Public Library District discovered when it started offering passport processing. In some instances, even a service that is not usually held in the library itself can lead to increased library use. This is what Blackburn College has found with its peer tutoring services, which sometimes refer students to the Lumpkin Learning Commons and its resources, especially for class research.
Even with extensive planning, however, libraries will inevitably encounter obstacles. Staff support is crucial; the people providing the service need to be enthusiastic and willing, and they should view it as an extension of their duties, and not a “burden.” As important as the service might be for making a library stand out, offering it should not interfere with the library’s day-to-day operations. If a library has the option, it can train additional staff to assist, or rotate staff to ensure adequate coverage across all departments. If libraries cannot make the service available at certain times or on particular days, they should clearly convey this to patrons.
An alternative that avoids some of these problems is to host a service, rather than actually having library staff members provide it themselves. This is what the Bloomington Public Library has done for tax preparation, recruiting the volunteers from AARP Tax-Aide. If appropriate, a library may have to reduce a service if certain aspects of it fall outside the scope of what the library can realistically provide. The Antioch Public Library District found this approach helpful with its notarization services due to concerns over liability, and it does not notarize certain types of documents, such as wills or other real-estate papers.
Starting a “non-traditional” service, as adventurous as it might sound, does require some advance planning, particularly if outside training or other assistance is necessary. If a library is considering offering voter registration, for example, it should account for the logistical challenges, including recruiting volunteers. A library should make certain to follow any rules or regulations, especially for using library spaces for events that one could construe as politically related. Having the support of all involved parties, including a library’s board or administration, is important for ensuring the continuity
of the service, particularly if funding is required.
In terms of which services to offer, a library should consider what its community already has. Even if the service might seem worthwhile to library staff, it might not meet the needs of the community, so it is vital to obtain feedback from library users. Focusing on one or two services that staff can provide particularly well is often more productive than trying to offer a wide range of services. Studying community demographics can be especially helpful for launching social services, such as immigration-related ones. This is what the Addison Public Library discovered when, based on U.S. census estimates, it determined that more than a third of community members were foreign-born.
Most importantly, librarians should be willing to adapt to unforeseen circumstances, and should try to make this a “fun” experience for everyone involved—staff, regular library users, and new users attracted by the services. Despite the challenges involved, patrons are likely to be grateful for the opportunity to use the service. This helps increase the value of the library in the eyes of the community.
The author would like to thank the following individuals for sharing their insights: Lily De La Cruz, Elizabeth Lynch, Kelly MacGregor, and Mary Medjo Me Zengue, Addison Public Library; Amy Blue and Jennifer Drinka, Antioch Public Library District; Hannah Rapp, Berwyn Public Library; Brian Hickam, Blackburn College; Carol Torrens, Bloomington Public Library; Cindy Starks, Coal City Public Library District; Anne Belden, Erica Christianson, and Christen Wiser, Ela Area Public Library District; Peggy Danhof and Paul Mills, Fountaindale Public Library District; Melissa Bernasek and Carole Medal, Gail Borden Public Library District; Sue Wilsey, Helen Plum Library; Debbie Sheehan, Indian Prairie Public Library; Katherine Paterson, Loyola University, Chicago; Jan Ambrose, Marseilles Public Library; Sasha Vasilic, Niles-Maine District Library; Tina Hubert, Six Mile Regional Library District; and Sarah Christensen, University of Illinois at Urbana-Champaign.